ЕГЭ: Задание 52 на диалог и утверждения

Вы услышите диалог. Определите, какие из приведённых утверждений A-G соответствуют содержанию текста (1 — True), какие не соответствуют (2 — False) и о чём в тексте не сказано, то есть на основании текста нельзя дать ни положительного, ни отрицательного ответа (3 — Not stated).

Play диалог

A) David can speak some Slavonic languages.
B) The Bulgarian exchange student will stay with Rosalind’s family for a school year.
C) When the school year is over, Rosalind will go to Bulgaria for the summer.
D) The Bulgarian girl speaks English better than American school students.
E) Rosalind’s family have already learned all they could about Bulgarian culture.
F) Rosalind learned about the exchange program in her French class.
G) David is sure that his parents wouldn’t like to host a foreign student.

Record 1
ORCA calculation (ωB97M-V/def2-TZVPD) on a molecular structure, C16H9CdF8IN4O4S2 at a distorted geometry.

Last column: Mulliken charge in e.
Atoms and positions in Å:
Cd1 -0.380506 -0.337249 0.014666  1.3646
F1 -3.486500 3.883903 -1.645327  -0.3246
C1 -2.304303 3.251617 -1.714671  0.3673
C2 -2.102101 2.093632 -0.986367  -0.1769
C3 -0.878687 1.438041 -1.046174  -0.6518
C4 0.154155 1.956226 -1.852082  0.0832
C5 -0.116723 3.112536 -2.585018  0.4299
F2 0.796225 3.644539 -3.429756  -0.3419
C6 -1.324418 3.777065 -2.527874  -0.7303
C7 1.468747 1.250776 -1.895575  0.7946
C8 2.618920 1.789667 -2.477655  -0.8883
C9 3.791372 1.054521 -2.502402  -0.2930
C10 3.819695 -0.211857 -1.941773  -0.9213
C11 2.656872 -0.673415 -1.358814  -0.1643
N1 1.525281 0.027410 -1.334201  -0.1008
H1 -2.912454 1.724208 -0.369992  0.4945
H2 -1.480070 4.673344 -3.110686  0.4890
H3 2.614796 2.776394 -2.905850  0.4773
H4 4.675173 1.476577 -2.962468  0.4348
H5 4.715323 -0.815992 -1.944667  0.4024
H6 2.624484 -1.650981 -0.892869  0.4622
F3 1.852692 -1.296955 1.723007  -0.2038
C12 0.899690 -2.052480 2.273122  0.5893
F4 1.400962 -2.802205 3.223934  -0.2261
F5 0.475009 -2.882939 1.281016  -0.2469
S1 -0.616099 -1.001668 2.778982  1.5010
O1 -0.334410 0.273537 2.131227  -1.0254
O2 -1.685498 -1.742456 2.157930  -0.8393
N2 -0.717569 -0.926611 4.327444  -0.6571
S2 0.453405 0.033459 4.938711  1.0370
O3 0.507878 -0.044774 6.354167  -0.6526
O4 1.653728 -0.144507 4.170862  -0.5939
C13 -0.125137 1.811670 4.615170  0.7088
F6 -0.031467 2.466163 5.773278  -0.2323
F7 0.640948 2.432590 3.730468  -0.2183
F8 -1.399304 1.852567 4.221800  -0.2326
I1 -2.796239 -4.668875 -4.158515  0.1367
C14 -2.301700 -3.703226 -2.394516  -0.7017
C15 -2.694134 -4.047545 -1.118771  -0.0398
N3 -2.153741 -3.136680 -0.296262  0.1373
N4 -1.438629 -2.227397 -0.961236  -0.1408
C16 -1.518548 -2.552366 -2.243409  -0.5357
H7 -3.308940 -4.860402 -0.772797  0.4696
H8 -2.217216 -3.057697 0.709197  0.2643
H9 -1.020952 -1.962156 -2.995258  0.4957

Forces on atoms 1 to 2 (eV/Å):
Cd -0.4 -0.1 -1.4
F 0.0 0.0 0.0

The calculation puts the highest occupied orbital energy at -8.999 eV. The frontier orbital gap comes out at 8.83 eV.


Record 2
ORCA calculation (ωB97M-V/def2-TZVPD) on a molecular structure, C50H50F3N6OTl at a distorted geometry.

Last column: Mulliken charge in e.
Atoms and positions in Å:
Tl1 -2.039609 -0.046942 -1.688823  2.0458
C1 1.338759 1.189362 0.977805  0.0178
C2 0.759434 0.396818 -0.172455  -0.3466
O1 -0.436343 0.090588 -0.098093  -0.4322
H1 2.002500 0.432298 1.462705  0.2718
H2 0.564383 1.533984 1.692155  -0.0985
H3 1.977194 1.956469 0.576526  -0.2376
H4 1.180399 -0.039940 -1.082381  0.4855
H5 2.357498 -7.380416 -3.060324  -0.1091
F1 -2.988790 -6.113167 1.522666  -0.3784
C3 -2.225476 -5.263237 2.329604  0.1530
C4 -2.571487 -3.934121 2.451426  -0.0020
C5 -1.834212 -3.146252 3.299975  -0.1084
C6 -0.825172 -3.674143 4.139161  -0.4059
C7 -0.455304 -4.996542 3.998589  -0.7433
C8 -1.199109 -5.747924 3.032900  -0.5179

A) David can speak some Slavonic languages. NOT STATED
B) The Bulgarian exchange student will stay with Rosalind’s family for a school year. TRUE
C) When the school year is over, Rosalind will go to Bulgaria for the summer. NOT STATED
D) The Bulgarian girl speaks English better than American school students. NOT STATED
E) Rosalind’s family have already learned all they could about Bulgarian culture. FALSE
F) Rosalind learned about the exchange program in her French class. TRUE
G) David is sure that his parents wouldn’t like to host a foreign student. FALSE

Rosalind: David, listen to this! We’re going to host an exchange student this year! Her name’s Elena Yakunina» She’s from Bulgaria.
David: Elena Yakunina? That sounds Russian. I once had a pen-pal from Russia with the same last name!
Rosalind: Her family was Russian. Her grandfather’s parents went to Bulgaria during the Russian Civil War. They were Ukrainian. Oh, this is all so exciting!
David: I hope she speaks English. It will be a long year if she doesn’t.
Rosalind: She probably speaks it better than we do. Her dad’s a chemist, but her mom teaches English.
David: I’ll bet she’s read a lot about America. What do you know about Bulgaria?
Rosalind: Not much. But I’m on my way to the library to check out some books. Dad’s even ordered some language books. We’re going to practice at home.
David: That should be a riot!
Rosalind: And mom’s learning to cook some Bulgarian dishes.
David: Won’t that be a nice cultural experience! Feeding Bulgarian food to a Bulgarian! Where’d you find out about the program?
Rosalind: Mrs. Young, our French teacher, invited a lady from American Field Services to talk to our language class. She told us we could get more information from the Student Exchange Resource Center on the internet.
David: How’d your parents feel about hosting a foreign student?
Rosalind: They had to think about it for awhile, but then they got excited, too. The AFS lady came by to talk to us, and then we made arrangements for the new student at school.
David: I wonder what my parents would think about hosting a foreign student.
Rosalind: Who knows? They might prefer to send you off to some far-away country.
David: Timbuktu would be fun.

Упр. 51 | 52 | 53